Request:
The reader should transcribe the lines further down up to the one that holds "4.4173 0.0000", that line included.

Contents:
-- begin --
A plane-wave DFT calculation with PBE was carried out for an optimized crystal structure of NaPrGePd.

Results
Calculated formation energy (eV per atom): -0.459

Structure (extended XYZ):
```
4
Lattice="-4.2035 -1.0108 2.2406 -1.8481 -4.5004 -0.2061 -0.0245 -2.8065 3.9792" Properties=species:S:1:pos:R:3 pbc="T T T"
Pr -3.0380 -4.1589 3.0069
Na -4.5571 -6.2383 4.5104
Ge 0.0000 0.0000 0.0000
Pd -1.5190 -2.0794 1.5035
```

A plane-wave DFT calculation with PBE was carried out for an optimized crystal structure of ErAs2.

Results
Calculated formation energy (eV per atom): -0.794

Structure (extended XYZ):
```
6
Lattice="-3.3958 1.2416 -1.3742 -1.8512 -2.1910 2.5949 2.7468 7.1121 5.0819" Properties=species:S:1:pos:R:3 pbc="T T T"
Er 0.0336 1.8084 1.5509
Er -2.5338 4.3543 4.7518
As -2.5760 2.0853 2.8059
As 0.0758 4.0774 3.4968
As -1.6979 0.6208 -0.6871
As -0.9256 -1.0955 1.2975
```

A plane-wave DFT calculation with PBE was carried out for an optimized crystal structure of Zr2Ti3Pb5O15.

Results
Energy relative to the elements, uncorrected (meV/atom): -1874

Structure (extended XYZ):
```
25
Lattice="-0.3826 -3.5255 -4.6764 -0.0714 2.6670 -5.2274 25.0006 -1.7436 -5.4741" Properties=species:S:1:pos:R:3 pbc="T T T"
Zr 14.2521 -1.8228 -12.4343
Zr 9.2567 -0.9610 -5.5716
Ti 4.0019 -0.9429 -8.3352
Ti 24.4565 -1.8209 -6.6504
Ti 19.4514 -1.8162 -9.4239
Pb 13.2629 -1.1362 -5.2775
Pb 7.8462 -1.1354 -8.3275
Pb 3.3206 -0.2781 -1.2503
Pb 23.3214 -2.0145 -9.4673
Pb 18.2811 -2.0071 -12.2304
O 16.1710 -1.9316 -12.5737
O 11.1743 -1.0690 -5.7016
O 5.7280 -1.0609 -8.6871
O 1.1789 -0.1953 -1.5291
O 21.1812 -1.9329 -9.7583
O 18.9428 -0.2344 -8.8161
O 13.6933 -2.8190 -6.5221
O 8.6200 0.7115 -4.8984
O 3.4982 0.6414 -7.7316
O 23.5699 -3.7609 -10.7233
O 18.7934 -3.2076 -8.5515
O 13.8475 0.2498 -6.7952
O 8.4628 -2.4171 -4.6199
O 3.3485 -2.3379 -7.4665
O 23.7312 -0.5502 -11.0090
```

A plane-wave DFT calculation with PBE was carried out for an optimized crystal structure of K5HgO.

Results
Energy relative to the elements, uncorrected (meV/atom): -490

Structure (extended XYZ):
```
7
Lattice="5.0590 0.0000 2.2596 1.5741 7.4869 3.2688 -0.6622 -0.5439 8.2754" Properties=species:S:1:pos:R:3 pbc="T T T"
K 3.9032 1.9888 4.9336
K 0.4789 3.4715 5.7824
K 2.1321 4.9542 8.8990
K 2.3983 1.3095 8.2564
K 3.6023 5.6335 5.5607
Hg 0.9243 6.9430 11.5497
O 3.0113 3.4715 6.9135
```

A plane-wave DFT calculation with PBE was carried out for an optimized crystal structure of Nd3Dy2UN6.

Results
Energy relative to the elements, uncorrected (meV/atom): -1534

Structure (extended XYZ):
```
12
Lattice="6.0998 0.0030 0.0009 -3.0458 5.2849 0.0009 -1.0176 -1.7620 5.8354" Properties=species:S:1:pos:R:3 pbc="T T T"
Nd -2.0166 3.5156 2.9186
Nd 4.0529 0.0102 2.9186
Nd 1.0182 1.7629 2.9186
Dy 0.0066 3.5220 0.0009
Dy 3.0473 1.7659 0.0009
U 0.0000 0.0000 0.0000
N 2.9822 1.8844 4.5460
N 2.1033 3.6419 1.3029
N -0.9459 1.6414 1.2911
N 0.1418 3.5248 4.5460
N -0.0670 -0.1160 4.5342
N 1.8945 0.0010 1.2911
```

A plane-wave DFT calculation with PBE was carried out for an optimized crystal structure of Nd4SnTe2S.

Results
Energy relative to the elements, uncorrected (meV/atom): -1410

Structure (extended XYZ):
```
16
Lattice="8.8346 -0.0001 -0.0855 -0.0063 8.8346 -0.0855 -4.4177 -4.4208 6.3309" Properties=species:S:1:pos:R:3 pbc="T T T"
Nd -2.3388 2.2773 6.2085
Nd 4.3431 0.1230 3.1167
Nd 0.0674 4.2906 3.0431
Nd 6.7493 2.1363 -0.0487
Nd 2.3450 2.2798 6.0482
Nd 4.3376 4.2738 3.1915
Nd 0.0729 0.1398 2.9683
Nd 2.0655 2.1338 0.1116
Sn -0.0032 4.4173 -0.0428
Sn 6.6225 2.2067 3.0371
Te 4.4173 0.0000 -0.0428
Te 2.2084 -2.2105 3.1227
Te -2.2089 -2.2104 3.1654
Te 4.4141 4.4172 -0.0855
S 2.2052 2.2068 3.0799
S 4.4105 4.4136 6.1598
```

A plane-wave DFT calculation with PBE was carried out for an optimized crystal structure of Er2Cd15Ag2.

Results
Calculated formation energy (eV per atom): -0.071

Structure (extended XYZ):
```
19
-- stop --

Here it is:
A plane-wave DFT calculation with PBE was carried out for an optimized crystal structure of NaPrGePd.

Results
Calculated formation energy (eV per atom): -0.459

Structure (extended XYZ):
```
4
Lattice="-4.2035 -1.0108 2.2406 -1.8481 -4.5004 -0.2061 -0.0245 -2.8065 3.9792" Properties=species:S:1:pos:R:3 pbc="T T T"
Pr -3.0380 -4.1589 3.0069
Na -4.5571 -6.2383 4.5104
Ge 0.0000 0.0000 0.0000
Pd -1.5190 -2.0794 1.5035
```

A plane-wave DFT calculation with PBE was carried out for an optimized crystal structure of ErAs2.

Results
Calculated formation energy (eV per atom): -0.794

Structure (extended XYZ):
```
6
Lattice="-3.3958 1.2416 -1.3742 -1.8512 -2.1910 2.5949 2.7468 7.1121 5.0819" Properties=species:S:1:pos:R:3 pbc="T T T"
Er 0.0336 1.8084 1.5509
Er -2.5338 4.3543 4.7518
As -2.5760 2.0853 2.8059
As 0.0758 4.0774 3.4968
As -1.6979 0.6208 -0.6871
As -0.9256 -1.0955 1.2975
```

A plane-wave DFT calculation with PBE was carried out for an optimized crystal structure of Zr2Ti3Pb5O15.

Results
Energy relative to the elements, uncorrected (meV/atom): -1874

Structure (extended XYZ):
```
25
Lattice="-0.3826 -3.5255 -4.6764 -0.0714 2.6670 -5.2274 25.0006 -1.7436 -5.4741" Properties=species:S:1:pos:R:3 pbc="T T T"
Zr 14.2521 -1.8228 -12.4343
Zr 9.2567 -0.9610 -5.5716
Ti 4.0019 -0.9429 -8.3352
Ti 24.4565 -1.8209 -6.6504
Ti 19.4514 -1.8162 -9.4239
Pb 13.2629 -1.1362 -5.2775
Pb 7.8462 -1.1354 -8.3275
Pb 3.3206 -0.2781 -1.2503
Pb 23.3214 -2.0145 -9.4673
Pb 18.2811 -2.0071 -12.2304
O 16.1710 -1.9316 -12.5737
O 11.1743 -1.0690 -5.7016
O 5.7280 -1.0609 -8.6871
O 1.1789 -0.1953 -1.5291
O 21.1812 -1.9329 -9.7583
O 18.9428 -0.2344 -8.8161
O 13.6933 -2.8190 -6.5221
O 8.6200 0.7115 -4.8984
O 3.4982 0.6414 -7.7316
O 23.5699 -3.7609 -10.7233
O 18.7934 -3.2076 -8.5515
O 13.8475 0.2498 -6.7952
O 8.4628 -2.4171 -4.6199
O 3.3485 -2.3379 -7.4665
O 23.7312 -0.5502 -11.0090
```

A plane-wave DFT calculation with PBE was carried out for an optimized crystal structure of K5HgO.

Results
Energy relative to the elements, uncorrected (meV/atom): -490

Structure (extended XYZ):
```
7
Lattice="5.0590 0.0000 2.2596 1.5741 7.4869 3.2688 -0.6622 -0.5439 8.2754" Properties=species:S:1:pos:R:3 pbc="T T T"
K 3.9032 1.9888 4.9336
K 0.4789 3.4715 5.7824
K 2.1321 4.9542 8.8990
K 2.3983 1.3095 8.2564
K 3.6023 5.6335 5.5607
Hg 0.9243 6.9430 11.5497
O 3.0113 3.4715 6.9135
```

A plane-wave DFT calculation with PBE was carried out for an optimized crystal structure of Nd3Dy2UN6.

Results
Energy relative to the elements, uncorrected (meV/atom): -1534

Structure (extended XYZ):
```
12
Lattice="6.0998 0.0030 0.0009 -3.0458 5.2849 0.0009 -1.0176 -1.7620 5.8354" Properties=species:S:1:pos:R:3 pbc="T T T"
Nd -2.0166 3.5156 2.9186
Nd 4.0529 0.0102 2.9186
Nd 1.0182 1.7629 2.9186
Dy 0.0066 3.5220 0.0009
Dy 3.0473 1.7659 0.0009
U 0.0000 0.0000 0.0000
N 2.9822 1.8844 4.5460
N 2.1033 3.6419 1.3029
N -0.9459 1.6414 1.2911
N 0.1418 3.5248 4.5460
N -0.0670 -0.1160 4.5342
N 1.8945 0.0010 1.2911
```

A plane-wave DFT calculation with PBE was carried out for an optimized crystal structure of Nd4SnTe2S.

Results
Energy relative to the elements, uncorrected (meV/atom): -1410

Structure (extended XYZ):
```
16
Lattice="8.8346 -0.0001 -0.0855 -0.0063 8.8346 -0.0855 -4.4177 -4.4208 6.3309" Properties=species:S:1:pos:R:3 pbc="T T T"
Nd -2.3388 2.2773 6.2085
Nd 4.3431 0.1230 3.1167
Nd 0.0674 4.2906 3.0431
Nd 6.7493 2.1363 -0.0487
Nd 2.3450 2.2798 6.0482
Nd 4.3376 4.2738 3.1915
Nd 0.0729 0.1398 2.9683
Nd 2.0655 2.1338 0.1116
Sn -0.0032 4.4173 -0.0428
Sn 6.6225 2.2067 3.0371
Te 4.4173 0.0000 -0.0428